I started thinking about what map I like forging on the most. I thought of the most popular maps I see and they all have huge differences. The maps I'll have in the poll are Foundry, Sandbox, Avalanche, Ghost Town, Longshore, Citadel, Heretic, Rat's Nest, Standoff, and Blackout. Foundry: has a good array of immovable objects, a lot of movable object, limited space, blank canvas Sandbox: best amount of immovable objects, almost no movable object, a good amount of space, blank canvas, three levels Avalanche: huge map with a good amount of immovable objects Ghost Town: nice size map with good elevation change which also makes it harder to forge on Longshore: big map with a good bit of possibilities Citadel: Medium size arena based map, great for MLG in my opinion Heretic: small to medium map with a lack of immovable objects but still good possibilities Rat's Nest: a large map that is great for vehicles with a middle area that is still good for pedestrians Standoff: large map with great elevation change that makes it slightly harder to forge on, it is great for vehicles Blackout: a medium to large map with lots of rooms that still has open areas and good lines of sight So just give me your opinion on your favorite map to forge on map and say why you like that map. Me personally I like foundry because it has a good amount of immovable objects and a good amount of movable objects. Also if you like a map that isn't in the poll just say what map it is.
I think the worst is Standoff. The only way to make fun and feel different is to make a small map in the bases alone or in an inclosed area.
This is where you say what you think the best map not the worst map. But while we're at that, Heretic is the worst. Longshore: Water and plenty immovable objects. Plus I've seen a lot of great gametypes and maps on longshore, and infection plays great on it. Otherwise I would say sandbox, but maps on sandbox seem to be repetitive nowadays.
Foundry are better because you need skill to forge on it ! Sandbox ... all are done you just need to place it ! Foundry have more cool stuff then sandbox so Foundry wiin !
Definitely that "easy" Sandbox only because it allows for so many more atmospheres with 3 levels. However, for me, I think the greatest maps make you feel like you are on a different map than what it was forged on because it's so good and could be its own map. For example, the cave maps like Hollow and Schism of Light are insanely good because they are so new and cool. Also, Sandbox has allowed Battle Tracks to flourish...
# 1
DFT (GGA-PBE) results for a relaxed structure of Ba2NaHf.

a b c (Å): 6.098 6.098 6.098
angles (deg): 60.00 60.00 60.00
Fractional positions:
Ba 0.250 0.250 0.250
Ba 0.750 0.750 0.750
Na 0.000 0.000 0.000
Hf 0.500 0.500 0.500

Properties
Formation enthalpy at 0 K in meV per atom: 676
Energy above the lowest structure with this stoichiometry in meV per atom: 0

---

# 2
DFT (GGA-PBE) results for a relaxed structure of AgHg2TeI.

a b c (Å): 5.775 5.775 5.394
angles (deg): 90.00 90.00 90.00
Fractional positions:
Ag 0.000 0.000 0.000
Hg 0.000 0.500 0.500
Hg 0.500 0.000 0.500
Te 0.000 0.000 0.500
I 0.500 0.500 0.000

Properties
Formation energy without anion corrections in eV per atom: 0.00

---

# 3
DFT (GGA-PBE) results for a relaxed structure of TaPt2Br2.

a b c (Å): 9.166 9.166 9.166
angles (deg): 157.24 157.24 32.41
Fractional positions:
Ta 0.000 0.000 0.000
Pt 0.426 0.426 0.000
Pt 0.574 0.574 0.000
Br 0.250 0.750 0.500
Br 0.750 0.250 0.500

Properties
Energy above the lowest structure with this stoichiometry in meV per atom: 277
Formation energy without anion corrections in eV per atom: 0.70

---

# 4
DFT (GGA-PBE) results for a relaxed structure of NpTaNbRu.

a b c (Å): 4.649 4.649 4.649
angles (deg): 60.00 60.00 60.00
Fractional positions:
Np 0.000 0.000 0.000
Ta 0.750 0.750 0.750
Nb 0.250 0.250 0.250
Ru 0.500 0.500 0.500

Properties
Formation enthalpy at 0 K in meV per atom: 257

---

# 5
DFT (GGA-PBE) results for a relaxed structure of PmEuNi2.

a b c (Å): 4.907 4.907 4.907
angles (deg): 60.00 60.00 60.00
Fractional positions:
Pm 0.000 0.000 0.000
Eu 0.500 0.500 0.500
Ni 0.250 0.250 0.250
Ni 0.750 0.750 0.750

Properties
Formation enthalpy at 0 K in meV per atom: -152
Energy above the lowest structure with this stoichiometry in meV per atom: 22

---

# 6
DFT (GGA-PBE) results for a relaxed structure of KZn2HgF8.

a b c (Å): 5.237 5.257 6.711
angles (deg): 88.00 88.00 87.46
Fractional positions:
K 0.000 0.000 0.000
Zn 0.496 0.496 0.248
Zn 0.504 0.504 0.752
Hg 0.000 0.000 0.500
F 0.221 0.764 0.718
F 0.239 0.782 0.281
F 0.319 0.322 0.483
F 0.335 0.339 0.989
F 0.665 0.661 0.011
F 0.681 0.678 0.517
F 0.761 0.218 0.719
F 0.779 0.236 0.282

Properties
Formation energy without anion corrections in eV per atom: -1.96

---

| no. | final energy (eV/cell) |
| --- | --- |
| 1 | -12.42 |
| 2 | -8.13 |
| 3 | -23.78 |
| 4 | -43.11 |
| 5 | -27.20 |
| 6 | -42.48 |


No. 1
Density functional theory data (PBE) for an optimized crystal structure of Pr2LuTh.

a b c (Å): 8.134 8.134 8.134
angles (deg): 90.00 90.00 90.00
Fractional positions:
Pr  0.250  0.250  0.250
Pr  0.250  0.250  0.750
Pr  0.250  0.750  0.250
Pr  0.250  0.750  0.750
Pr  0.750  0.250  0.250
Pr  0.750  0.250  0.750
Pr  0.750  0.750  0.250
Pr  0.750  0.750  0.750
Lu  0.000  0.000  0.000
Lu  0.000  0.500  0.500
Lu  0.500  0.000  0.500
Lu  0.500  0.500  0.000
Th  0.000  0.000  0.500
Th  0.000  0.500  0.000
Th  0.500  0.000  0.000
Th  0.500  0.500  0.500

Output
- V (Å³/cell) = 538.2
### End of the calculated crystals
Oh yeah sorry I vote that Sandbox is the best because of the bigger budget, More objects, and the different kinds of floors with different kinds of feelings. And I think Sandbox is also pretty amazing becasue of the different elevations in the dunes with no guardians.
I love the flexibility of the sky bubble and the crypt. If only we could have had a better mid level sandbox would be perfect.
Yes Rats nest is pretty good but the only problem with it is blocking all the passages and doors to create a reasonable 4v4 map within the ring around rats nest.
### Attached: materials data
Entry 1:
DFT (GGA-PBE) results for crystalline K3Tb2YO6 at its relaxed geometry.

Calculated values
* ΔE_f (raw): -2.7478 eV/atom
* calculated volume: 16.633 Å³/atom
* space group: C2/m, No. 12
* E_tot: -6.812 eV/atom
* total moment: 0.00 μB per atom

a = 6.0643 Å, b = 6.0643 Å, c = 6.5850 Å
α = 98.83°, β = 98.83°, γ = 120.00°
Atoms (fractional coordinates):
K1 0.0000 0.0000 0.0000
K2 0.3335 0.6665 0.0000
K3 0.6665 0.3335 0.0000
Tb1 0.1667 0.8333 0.5000
Tb2 0.8333 0.1667 0.5000
Y1 0.5000 0.5000 0.5000
O1 0.1053 0.4380 0.3139
O2 0.2294 0.2294 0.6861
O3 0.4380 0.1053 0.3139
O4 0.5620 0.8947 0.6861
O5 0.7706 0.7706 0.3139
O6 0.8947 0.5620 0.6861



Entry 2:
DFT (GGA-PBE) results for crystalline K3TbY2O6 at its relaxed geometry.

Calculated values
* ΔE_f (raw): -2.7469 eV/atom
* calculated volume: 16.576 Å³/atom
* space group: C2/m, No. 12
* E_tot: -6.964 eV/atom
* total moment: 0.00 μB per atom

a = 6.0543 Å, b = 6.0543 Å, c = 6.5832 Å
α = 98.82°, β = 98.82°, γ = 120.00°
Atoms (fractional coordinates):
K1 0.0000 0.0000 0.0000
K2 0.3332 0.6668 0.0000
K3 0.6668 0.3332 0.0000
Tb1 0.5000 0.5000 0.5000
Y1 0.1667 0.8333 0.5000
Y2 0.8333 0.1667 0.5000
O1 0.1039 0.4380 0.3139
O2 0.2280 0.2280 0.6861
O3 0.4380 0.1039 0.3139
O4 0.5620 0.8961 0.6861
O5 0.7720 0.7720 0.3139
O6 0.8961 0.5620 0.6861



Entry 3:
DFT (GGA-PBE) results for crystalline KTb2ZnO5 at its relaxed geometry.

Calculated values
* ΔE_f (raw): -2.4233 eV/atom
* calculated volume: 13.932 Å³/atom
* space group: I4/mcm, No. 140
* E_tot: -6.470 eV/atom
* total moment: 0.11 μB per atom

a = 7.4208 Å, b = 7.4208 Å, c = 7.4208 Å
α = 127.28°, β = 127.28°, γ = 77.79°
Atoms (fractional coordinates):
K1 0.2500 0.2500 0.0000
K2 0.7500 0.7500 0.0000
Tb1 0.1723 0.6723 0.8447
Tb2 0.3277 0.1723 0.5000
Tb3 0.6723 0.8277 0.5000
Tb4 0.8277 0.3277 0.1553
Zn1 0.2500 0.7500 0.5000
Zn2 0.7500 0.2500 0.5000
O1 0.0000 0.0000 0.0000
O2 0.0177 0.2371 0.5000
O3 0.2371 0.7371 0.2194
O4 0.2629 0.4823 0.5000
O5 0.4823 0.9823 0.2194
O6 0.5000 0.5000 0.0000
O7 0.5177 0.0177 0.7806
O8 0.7371 0.5177 0.5000
O9 0.7629 0.2629 0.7806
O10 0.9823 0.7629 0.5000



Entry 4:
DFT (GGA-PBE) results for crystalline KTbZnO3 at its relaxed geometry.

Calculated values
* ΔE_f (raw): -2.2251 eV/atom
* calculated volume: 18.911 Å³/atom
* space group: P2_1/m, No. 11
* E_tot: -5.871 eV/atom
* total moment: 0.00 μB per atom

a = 7.3836 Å, b = 3.5430 Å, c = 9.2472 Å
α = 90.00°, β = 110.26°, γ = 90.00°
Atoms (fractional coordinates):
K1 0.1931 0.2500 0.1678
K2 0.8069 0.7500 0.8322
Tb1 0.3322 0.7500 0.8546
Tb2 0.6678 0.2500 0.1454
Zn1 0.0401 0.2500 0.6185
Zn2 0.9599 0.7500 0.3815
O1 0.1101 0.2500 0.8422
O2 0.1670 0.7500 0.5859
O3 0.4595 0.7500 0.1157
O4 0.5405 0.2500 0.8843
O5 0.8330 0.2500 0.4141
O6 0.8899 0.7500 0.1578



Entry 5:
DFT (GGA-PBE) results for crystalline K3Tb2ZrO6 at its relaxed geometry.

Calculated values
* ΔE_f (raw): -2.5958 eV/atom
* calculated volume: 15.999 Å³/atom
* space group: C2/m, No. 12
* E_tot: -6.833 eV/atom
Agree. If Sandbox had the nice, shapely, boxy items like Foundry and it didnt have rough textured walls and ground, then it would be amazing. Basically, Foundry with a basement, main floor, and skybox is the ideal forging atomspere that is reasonable being a video game designer.
I would have to say sandbox. There are so many possibilities when forging there! You have tons of scenery, good objects for making aesthetics/maps, and you have 3 different levels.
Sandbox. Versatility and ease are the two main components I look for when choosing a map to forge on. Sandbox's increased budget and more eclectic variety of forge items allow me to create more pleasing and intricate designs. Plus special objects (kill-balls, lights, columns) are great for special maps and cool components in a map.
I hate how dull most maps on sandbox look. Usually it's not the maker's fault, but there really is hardly any way to make aesthetic appeal on Sandbox. Despite this, I always find myself forging on sandbox. so... sandbox.
I'd have to say my favourite is Sandbox. I'm just a beginning forger, so i can't forge well on unusual maps (standoff, ghost town, etc.) even with ghost merging. So… Sandbox.
### Someone pasted crystal structures at this point
____________
{"formula": "MgInRe", "functional": "PBE", "state": "relaxed", "lattice_angstrom": [[6.471, 0.000, 0.000], [0.000, 6.471, 0.000], [0.000, 0.000, 6.471]], "species": ["Mg", "Mg", "Mg", "Mg", "In", "In", "In", "In", "Re", "Re", "Re", "Re"], "fractional_positions": [[0.000, 0.000, 0.000], [0.000, 0.500, 0.500], [0.500, 0.000, 0.500], [0.500, 0.500, 0.000], [0.000, 0.000, 0.500], [0.000, 0.500, 0.000], [0.500, 0.000, 0.000], [0.500, 0.500, 0.500], [0.250, 0.250, 0.250], [0.250, 0.750, 0.750], [0.750, 0.250, 0.750], [0.750, 0.750, 0.250]], "formation_energy_ev_per_fu": 2.663, "total_magnetization_mub_per_cell": 7.350}


# 1
{"formula": "Ti3InCu4", "functional": "GGA-PBE", "state": "relaxed", "formation_energy_ev_per_atom": -0.06, "space_group": "P4/mmm (123)", "cell": [[-0.200, 3.458, 2.537], [-2.571, -3.657, 4.781], [7.883, -1.700, 2.939]], "species": ["In", "In", "Cu", "Cu", "Cu", "Cu", "Cu", "Cu", "Cu", "Cu", "Ti", "Ti", "Ti", "Ti", "Ti", "Ti"], "fractional_positions": [[0.000, 0.500, 0.000], [0.000, 0.500, 0.500], [0.500, 0.753, 0.000], [0.500, 0.753, 0.500], [0.500, 0.247, 0.000], [0.500, 0.247, 0.500], [0.999, 0.753, 0.750], [0.001, 0.753, 0.250], [0.001, 0.247, 0.250], [0.999, 0.247, 0.750], [0.000, 0.000, 0.000], [0.000, 0.000, 0.500], [0.499, 0.000, 0.750], [0.501, 0.000, 0.250], [0.500, 0.500, 0.750], [0.500, 0.500, 0.250]]}

=====

# 2
{"formula": "NaPu2NpO8", "functional": "GGA-PBE", "state": "relaxed", "space_group": "Cmmm (65)", "raw_formation_energy_ev_per_atom": -2.729, "cell": [[-0.679, -3.853, -3.334], [4.891, 0.344, -1.534], [1.832, -4.502, 4.830]], "species": ["Na", "Pu", "Pu", "Np", "O", "O", "O", "O", "O", "O", "O", "O"], "fractional_positions": [[0.000, 0.000, 0.500], [0.500, 0.500, 0.748], [0.500, 0.500, 0.252], [0.000, 0.000, 0.000], [0.191, 0.809, 0.215], [0.685, 0.686, 0.000], [0.809, 0.191, 0.215], [0.809, 0.191, 0.785], [0.315, 0.314, 0.000], [0.191, 0.809, 0.785], [0.671, 0.671, 0.500], [0.329, 0.329, 0.500]]}


Record 1
Computed, not measured: Li2MgSi at its PBEsol-relaxed geometry at the SCAN level of DFT.

Output
As for the total magnetic moment: 0.0 μB per formula unit. The uncorrected formation energy comes out at -0.2575 eV per atom.

Cell lengths 4.472, 4.472, 4.472 Å; angles 60.00, 60.00, 60.00 degrees
Fractional positions:
Li1 0.000 0.000 0.000
Li2 0.250 0.250 0.250
Mg1 0.500 0.500 0.500
Si1 0.750 0.750 0.750

=====

Record 2
Computed, not measured: KLiCd2 at its PBEsol-relaxed geometry at the SCAN level of DFT.

Output
As for the total magnetic moment: 0.0 μB per formula unit. As for the formation energy: 0.1 eV/f.u. Its energy above the most stable polymorph in this dataset is 141.0 meV/atom.

Cell lengths 5.385, 5.385, 5.385 Å; angles 60.00, 60.00, 60.00 degrees
Fractional positions:
K1 0.000 0.000 0.000
Li1 0.500 0.500 0.500
Cd1 0.250 0.250 0.250
Cd2 0.750 0.750 0.750


Crystalline La2Pm2SmY4 at its relaxed geometry, computed with PBE.

```
La2Pm2SmY4
1.0
-0.7735 3.1059 1.7932
2.0010 -5.9317 7.3840
____________
I was wondering the same thing, I don't know why I even put that map in the pole, it fails for forging. I should have put a pre dlc map such as Last Resort or High Ground.